• Wanted:
Your job: print the material further below from the first line to the one with "orthorhombic" unchanged.

• Excerpt:
=====
1.
DFT (PBE with a Hubbard U) results for an optimized crystal structure of CrReO4.

a b c (Å): 2.9097 6.5517 6.8470
angles (deg): 90.00 90.00 90.00
Closest atoms and distances in Å follow each position.
Atoms (fractional coordinates):
O (0.5000, 0.0000, 0.2052)  1 Cr 2.02, 2 Re 2.02
O (0.5000, 0.0000, 0.7948)  1 Cr 2.02, 2 Re 2.02
O (0.5000, 0.5000, 0.2948)  1 Cr 2.02, 2 Re 2.02
O (0.0000, 0.2921, 0.0000)  1 Re 1.91, 2 Cr 1.99
O (0.0000, 0.2079, 0.5000)  1 Re 1.91, 2 Cr 1.99
O (0.0000, 0.7079, 0.0000)  1 Re 1.91, 2 Cr 1.99
O (0.0000, 0.7921, 0.5000)  1 Re 1.91, 2 Cr 1.99
O (0.5000, 0.5000, 0.7052)  1 Cr 2.02, 2 Re 2.02
Cr (0.5000, 0.5000, 0.0000)  6 O 1.99-2.02
Cr (0.5000, 0.0000, 0.5000)  6 O 1.99-2.02
Re (0.0000, 0.5000, 0.5000)  6 O 1.91-2.02
Re (0.0000, 0.0000, 0.0000)  6 O 1.91-2.02

Computed properties:
Magnetization = 0.0000 μB per atom
Energy of formation = -2.094 eV/atom

---

2.
DFT (PBE with a Hubbard U) results for an optimized crystal structure of LiCrP3O9.

a b c (Å): 8.3802 8.8702 8.9534
angles (deg): 90.00 90.00 90.00
Closest atoms and distances in Å follow each position.
Atoms (fractional coordinates):
Li (0.1230, 0.0819, 0.1079)  6 O 2.11-2.26
Li (0.3770, 0.9181, 0.6079)  6 O 2.11-2.26
Li (0.6230, 0.4181, 0.8921)  6 O 2.11-2.26
Li (0.8770, 0.5819, 0.3921)  6 O 2.11-2.26
Cr (0.0958, 0.8584, 0.3817)  4 O 2.04-2.07
Cr (0.4042, 0.1416, 0.8817)  4 O 2.04-2.07
Cr (0.5958, 0.6416, 0.6183)  4 O 2.04-2.07
Cr (0.9042, 0.3584, 0.1183)  4 O 2.04-2.07
P (0.0482, 0.6818, 0.0496)  4 O 1.49-1.63
P (0.0651, 0.0595, 0.7329)  4 O 1.50-1.62
P (0.2203, 0.5716, 0.5653)  4 O 1.51-1.60
P (0.2797, 0.4284, 0.0653)  4 O 1.51-1.60
P (0.4349, 0.9405, 0.2329)  4 O 1.50-1.62
P (0.4518, 0.3182, 0.5496)  4 O 1.49-1.63
P (0.5482, 0.8182, 0.9504)  4 O 1.49-1.63
P (0.5651, 0.4405, 0.2671)  4 O 1.50-1.62
P (0.7203, 0.9284, 0.4347)  4 O 1.51-1.60
P (0.7797, 0.0716, 0.9347)  4 O 1.51-1.60
P (0.9349, 0.5595, 0.7671)  4 O 1.50-1.62
P (0.9518, 0.1818, 0.4504)  4 O 1.49-1.63
O (0.0248, 0.1951, 0.6171)  2 P 1.62
O (0.0570, 0.0845, 0.3512)  1 P 1.52
O (0.0878, 0.8367, 0.1023)  1 P 1.49
O (0.1110, 0.5216, 0.7038)  2 P 1.60-1.62
O (0.1169, 0.6336, 0.4412)  1 P 1.51
O (0.1283, 0.9275, 0.6475)  1 P 1.50
O (0.1450, 0.3287, 0.1178)  1 P 1.51
O (0.1623, 0.1220, 0.8610)  1 P 1.51
O (0.2124, 0.5891, 0.0145)  2 P 1.60-1.63
O (0.2876, 0.4109, 0.5145)  2 P 1.60-1.63
O (0.3377, 0.8780, 0.3610)  1 P 1.51
O (0.3550, 0.6713, 0.6178)  1 P 1.51
O (0.3717, 0.0725, 0.1475)  1 P 1.50
O (0.3831, 0.3664, 0.9412)  1 P 1.51
O (0.3890, 0.4784, 0.2038)  2 P 1.60-1.62
O (0.4122, 0.1633, 0.6023)  1 P 1.49
O (0.4430, 0.9155, 0.8512)  1 P 1.52
O (0.4752, 0.8049, 0.1171)  2 P 1.62
O (0.5248, 0.3049, 0.3829)  2 P 1.62
O (0.5570, 0.4155, 0.6488)  1 P 1.52
O (0.5878, 0.6633, 0.8977)  1 P 1.49
O (0.6110, 0.9784, 0.2962)  2 P 1.60-1.62
O (0.6169, 0.8664, 0.5588)  1 P 1.51
O (0.6283, 0.5725, 0.3525)  1 P 1.50
O (0.6450, 0.1713, 0.8822)  1 P 1.51
O (0.6623, 0.3780, 0.1390)  1 P 1.51
O (0.7124, 0.9109, 0.9855)  2 P 1.60-1.63
O (0.7876, 0.0891, 0.4855)  2 P 1.60-1.63
O (0.8377, 0.6220, 0.6390)  1 P 1.51
O (0.8550, 0.8287, 0.3822)  1 P 1.51
O (0.8717, 0.4275, 0.8525)  1 P 1.50
O (0.8831, 0.1336, 0.0588)  1 P 1.51
O (0.8890, 0.0216, 0.7962)  2 P 1.60-1.62
O (0.9122, 0.3367, 0.3977)  1 P 1.49
O (0.9430, 0.5845, 0.1488)  1 P 1.52
O (0.9752, 0.6951, 0.8829)  2 P 1.62

Computed properties:
Magnetization = 0.2857 μB per atom
Crystal system = orthorhombic
Energy of formation = -2.597 eV/atom

---

3.
DFT (PBE with a Hubbard U) results for an optimized crystal structure of Li2VC2O6.

a b c (Å): 4.8995 9.7663 11.5764
angles (deg): 74.93 90.00 90.00
Closest atoms and distances in Å follow each position.
Atoms (fractional coordinates):
O (0.2127, 0.7053, 0.9269)  1 C 1.29
O (0.7906, 0.4831, 0.6995)  1 C 1.30
O (0.4134, 0.9833, 0.0888)  1 C 1.29
O (0.8778, 0.5142, 0.2179)  1 C 1.30
O (0.8776, 0.0140, 0.7180)  1 C 1.30
O (0.6333, 0.7279, 0.8441)  1 C 1.31
O (0.7904, 0.9833, 0.1995)  1 C 1.30
=====

• Solution:
1.
DFT (PBE with a Hubbard U) results for an optimized crystal structure of CrReO4.

a b c (Å): 2.9097 6.5517 6.8470
angles (deg): 90.00 90.00 90.00
Closest atoms and distances in Å follow each position.
Atoms (fractional coordinates):
O (0.5000, 0.0000, 0.2052)  1 Cr 2.02, 2 Re 2.02
O (0.5000, 0.0000, 0.7948)  1 Cr 2.02, 2 Re 2.02
O (0.5000, 0.5000, 0.2948)  1 Cr 2.02, 2 Re 2.02
O (0.0000, 0.2921, 0.0000)  1 Re 1.91, 2 Cr 1.99
O (0.0000, 0.2079, 0.5000)  1 Re 1.91, 2 Cr 1.99
O (0.0000, 0.7079, 0.0000)  1 Re 1.91, 2 Cr 1.99
O (0.0000, 0.7921, 0.5000)  1 Re 1.91, 2 Cr 1.99
O (0.5000, 0.5000, 0.7052)  1 Cr 2.02, 2 Re 2.02
Cr (0.5000, 0.5000, 0.0000)  6 O 1.99-2.02
Cr (0.5000, 0.0000, 0.5000)  6 O 1.99-2.02
Re (0.0000, 0.5000, 0.5000)  6 O 1.91-2.02
Re (0.0000, 0.0000, 0.0000)  6 O 1.91-2.02

Computed properties:
Magnetization = 0.0000 μB per atom
Energy of formation = -2.094 eV/atom

---

2.
DFT (PBE with a Hubbard U) results for an optimized crystal structure of LiCrP3O9.

a b c (Å): 8.3802 8.8702 8.9534
angles (deg): 90.00 90.00 90.00
Closest atoms and distances in Å follow each position.
Atoms (fractional coordinates):
Li (0.1230, 0.0819, 0.1079)  6 O 2.11-2.26
Li (0.3770, 0.9181, 0.6079)  6 O 2.11-2.26
Li (0.6230, 0.4181, 0.8921)  6 O 2.11-2.26
Li (0.8770, 0.5819, 0.3921)  6 O 2.11-2.26
Cr (0.0958, 0.8584, 0.3817)  4 O 2.04-2.07
Cr (0.4042, 0.1416, 0.8817)  4 O 2.04-2.07
Cr (0.5958, 0.6416, 0.6183)  4 O 2.04-2.07
Cr (0.9042, 0.3584, 0.1183)  4 O 2.04-2.07
P (0.0482, 0.6818, 0.0496)  4 O 1.49-1.63
P (0.0651, 0.0595, 0.7329)  4 O 1.50-1.62
P (0.2203, 0.5716, 0.5653)  4 O 1.51-1.60
P (0.2797, 0.4284, 0.0653)  4 O 1.51-1.60
P (0.4349, 0.9405, 0.2329)  4 O 1.50-1.62
P (0.4518, 0.3182, 0.5496)  4 O 1.49-1.63
P (0.5482, 0.8182, 0.9504)  4 O 1.49-1.63
P (0.5651, 0.4405, 0.2671)  4 O 1.50-1.62
P (0.7203, 0.9284, 0.4347)  4 O 1.51-1.60
P (0.7797, 0.0716, 0.9347)  4 O 1.51-1.60
P (0.9349, 0.5595, 0.7671)  4 O 1.50-1.62
P (0.9518, 0.1818, 0.4504)  4 O 1.49-1.63
O (0.0248, 0.1951, 0.6171)  2 P 1.62
O (0.0570, 0.0845, 0.3512)  1 P 1.52
O (0.0878, 0.8367, 0.1023)  1 P 1.49
O (0.1110, 0.5216, 0.7038)  2 P 1.60-1.62
O (0.1169, 0.6336, 0.4412)  1 P 1.51
O (0.1283, 0.9275, 0.6475)  1 P 1.50
O (0.1450, 0.3287, 0.1178)  1 P 1.51
O (0.1623, 0.1220, 0.8610)  1 P 1.51
O (0.2124, 0.5891, 0.0145)  2 P 1.60-1.63
O (0.2876, 0.4109, 0.5145)  2 P 1.60-1.63
O (0.3377, 0.8780, 0.3610)  1 P 1.51
O (0.3550, 0.6713, 0.6178)  1 P 1.51
O (0.3717, 0.0725, 0.1475)  1 P 1.50
O (0.3831, 0.3664, 0.9412)  1 P 1.51
O (0.3890, 0.4784, 0.2038)  2 P 1.60-1.62
O (0.4122, 0.1633, 0.6023)  1 P 1.49
O (0.4430, 0.9155, 0.8512)  1 P 1.52
O (0.4752, 0.8049, 0.1171)  2 P 1.62
O (0.5248, 0.3049, 0.3829)  2 P 1.62
O (0.5570, 0.4155, 0.6488)  1 P 1.52
O (0.5878, 0.6633, 0.8977)  1 P 1.49
O (0.6110, 0.9784, 0.2962)  2 P 1.60-1.62
O (0.6169, 0.8664, 0.5588)  1 P 1.51
O (0.6283, 0.5725, 0.3525)  1 P 1.50
O (0.6450, 0.1713, 0.8822)  1 P 1.51
O (0.6623, 0.3780, 0.1390)  1 P 1.51
O (0.7124, 0.9109, 0.9855)  2 P 1.60-1.63
O (0.7876, 0.0891, 0.4855)  2 P 1.60-1.63
O (0.8377, 0.6220, 0.6390)  1 P 1.51
O (0.8550, 0.8287, 0.3822)  1 P 1.51
O (0.8717, 0.4275, 0.8525)  1 P 1.50
O (0.8831, 0.1336, 0.0588)  1 P 1.51
O (0.8890, 0.0216, 0.7962)  2 P 1.60-1.62
O (0.9122, 0.3367, 0.3977)  1 P 1.49
O (0.9430, 0.5845, 0.1488)  1 P 1.52
O (0.9752, 0.6951, 0.8829)  2 P 1.62

Computed properties:
Magnetization = 0.2857 μB per atom
Crystal system = orthorhombic